Work order =
Retype every line further below that contains the word "Tm1".
Excerpt =
'''
Run one
Compound: SiAg2Br
Source: Alexandria via LeMat-Bulk
Functional: PBE-GGA
Structure: optimized geometry

Results
As for the volume: 165.9 Å³ per cell.

a b c (Å): 4.147 4.147 9.649
angles (deg): 90.00 90.00 90.00
Fractional coordinates of all 8 atoms:
1 Si 0.000 0.000 0.000
2 Si 0.500 0.500 0.500
3 Ag 0.000 0.500 0.250
4 Ag 0.000 0.500 0.750
5 Ag 0.500 0.000 0.250
6 Ag 0.500 0.000 0.750
7 Br 0.000 0.000 0.500
8 Br 0.500 0.500 0.000


Run two
Compound: SiAg2Br
Source: Alexandria via LeMat-Bulk
Functional: PBE-GGA
Structure: optimized geometry

Results
As for the volume: 168.1 Å³ per cell.

a b c (Å): 3.706 5.692 7.970
angles (deg): 90.00 90.00 90.00
Fractional coordinates of all 8 atoms:
1 Si 0.000 0.000 0.000
2 Si 0.500 0.500 0.000
3 Ag 0.000 0.500 0.228
4 Ag 0.000 0.500 0.772
5 Ag 0.500 0.000 0.228
6 Ag 0.500 0.000 0.772
7 Br 0.000 0.000 0.500
8 Br 0.500 0.500 0.500


Q: Which of them is the least stable? A: run one.


Run one
Compound: SmAg2Br6
Source: Alexandria via LeMat-Bulk
Functional: PBE-GGA
Structure: optimized geometry

Results
As for the volume: 309.1 Å³ per cell.

a b c (Å): 7.217 7.217 9.603
angles (deg): 106.47 106.47 40.40
Fractional coordinates of all 9 atoms:
1 Sm 0.000 0.000 0.000
2 Ag 0.194 0.194 0.639
3 Ag 0.806 0.806 0.361
4 Br 0.021 0.021 0.720
5 Br 0.297 0.297 0.422
6 Br 0.363 0.363 0.924
7 Br 0.637 0.637 0.076
8 Br 0.703 0.703 0.578
9 Br 0.979 0.979 0.280


Run two
Compound: SmAg2Br6
Source: Alexandria via LeMat-Bulk
Functional: PBE-GGA
Structure: optimized geometry

Results
As for the volume: 355.7 Å³ per cell.

a b c (Å): 9.613 9.613 9.316
angles (deg): 99.30 99.30 24.77
Fractional coordinates of all 9 atoms:
1 Sm 0.000 0.000 0.000
2 Ag 0.191 0.191 0.337
3 Ag 0.809 0.809 0.663
4 Br 0.052 0.052 0.309
5 Br 0.227 0.227 0.679
6 Br 0.399 0.399 0.042
7 Br 0.601 0.601 0.958
8 Br 0.773 0.773 0.321
9 Br 0.948 0.948 0.691


Q: Which of them is the least stable? A: run one.

----------

# AcNi2Se

AcNi2Se after structural relaxation (PBE, the Alexandria database).

Computed properties:
- size of the total moment (μB/f.u.) = 0.00
- DOS at the Fermi energy (states/eV per cell) = 3.94
- total energy (eV/cell) = -21.006
- symmetry = R-3m (166)
- raw formation energy (meV per atom) = -463

Cell lengths 4.1839, 4.1839, 5.6332 Å; angles 68.20, 68.20, 60.00 degrees
With the nearest neighbours (Å) after each atom.
Fractional positions:
Ni1 0.7994 0.7994 0.6019  3 Se 2.47, 3 Ni 2.63
Ni2 0.2006 0.2006 0.3981  3 Se 2.47, 3 Ni 2.63
Ac1 0.0000 0.0000 0.0000  8 Ni 3.06-3.15
Se1 0.5000 0.5000 0.5000  6 Ni 2.47


# Ac2TmNiSe5

Ac2TmNiSe5 after structural relaxation (PBE, the Alexandria database).

Computed properties:
- size of the total moment (μB/f.u.) = 0.19
- DOS at the Fermi energy (states/eV per cell) = 9.66
- total energy (eV/cell) = -101.480
- symmetry = Cmc2_1 (36)
- raw formation energy (meV per atom) = -1650

Cell lengths 4.1335, 9.1183, 12.7193 Å; angles 90.00, 90.00, 103.10 degrees
With the nearest neighbours (Å) after each atom.
Fractional positions:
Ac1 0.8842 0.7684 0.8434  8 Se 3.13-3.44
Ac2 0.1232 0.2463 0.6985  7 Se 3.09-3.26
Ac3 0.1158 0.2316 0.3434  8 Se 3.13-3.44
Ac4 0.8768 0.7537 0.1985  7 Se 3.09-3.26
Tm1 0.8230 0.6460 0.5220  6 Se 2.77-2.88
Tm2 0.1770 0.3540 0.0220  6 Se 2.77-2.88
Ni1 0.5586 0.1173 0.9263  4 Se 2.40-2.47
Ni2 0.4414 0.8827 0.4263  4 Se 2.40-2.47
Se1 0.3387 0.6775 0.0191  1 Tm 2.87, 4 Ac 3.15
Se2 0.6914 0.3828 0.8677  1 Ni 2.47
Se3 0.5005 0.0011 0.7562  1 Ni 2.40
Se4 0.3064 0.6128 0.6784  2 Tm 2.88
Se5 0.9787 0.9574 0.5123  2 Ni 2.43
Se6 0.6613 0.3225 0.5191  1 Tm 2.87, 4 Ac 3.15
Se7 0.3086 0.6172 0.3677  1 Ni 2.47
Se8 0.4995 0.9989 0.2562  1 Ni 2.40
Se9 0.6936 0.3872 0.1784  2 Tm 2.88
Se10 0.0213 0.0426 0.0123  2 Ni 2.43


# AcSi3Ni6

AcSi3Ni6 after structural relaxation (PBE, the Alexandria database).

Computed properties:
- size of the total moment (μB/f.u.) = 0.00
- DOS at the Fermi energy (states/eV per cell) = 9.93
- total energy (eV/cell) = -117.241
- symmetry = P2_1/c (14)
'''
Done =
Tm1 0.8230 0.6460 0.5220  6 Se 2.77-2.88